(Wanted)
Next, count the lines further below that contain the word "Ce4NCl2O" and give the number alone.
(Given)
+++
[1]
The following is a GGA-PBE calculation of a relaxed structure of TlInGe2O6, from Alexandria.

Cell: 7.939 7.939 5.697 Å, 101.04 101.04 96.50°
Fractional coordinates of all 20 atoms:
Tl: 0.094 0.906 0.750
Tl: 0.906 0.094 0.250
In: 0.238 0.762 0.250
In: 0.762 0.238 0.750
Ge: 0.228 0.383 0.825
Ge: 0.383 0.228 0.325
Ge: 0.617 0.772 0.675
Ge: 0.772 0.617 0.175
O: 0.029 0.238 0.739
O: 0.199 0.599 0.918
O: 0.238 0.029 0.239
O: 0.314 0.376 0.554
O: 0.376 0.314 0.054
O: 0.401 0.801 0.582
O: 0.599 0.199 0.418
O: 0.624 0.686 0.946
O: 0.686 0.624 0.446
O: 0.762 0.971 0.761
O: 0.801 0.401 0.082
O: 0.971 0.762 0.261

Results
- V: 341.65 Å³/cell
- E: -5.803 eV/atom
- Density of states at the Fermi level: 0.0 states/eV/cell

=====

[2]
The following is a GGA-PBE calculation of a relaxed structure of UInGeO6, from Alexandria.

Cell: 5.334 5.334 4.677 Å, 90.00 90.00 120.00°
Fractional coordinates of all 9 atoms:
U: 0.000 0.000 0.000
In: 0.667 0.333 0.500
Ge: 0.333 0.667 0.000
O: 0.028 0.362 0.231
O: 0.028 0.665 0.769
O: 0.335 0.362 0.769
O: 0.335 0.972 0.231
O: 0.638 0.665 0.231
O: 0.638 0.972 0.769

Results
- V: 115.24 Å³/cell
- E: -7.462 eV/atom
- Density of states at the Fermi level: 2.8 states/eV/cell

=====

Taking the records one at a time from the top gives uncorrected formation energy values of -1.3944 -2.0846 eV per atom.

~~~~~

VASP calculation (GGA-PBE) on crystalline Te2AsCl at its relaxed geometry.

## Properties
Electronic total energy: -12.88 eV per formula unit
Size of the total moment: 0.00 μB per cell
Relative energy among the computed polymorphs: 117 meV per atom
ΔE_f (raw): -0.03 eV per atom

Cell: 5.850 5.850 5.992 Å, 83.34 83.34 39.42°
Atoms (fractional coordinates):
As  0.521  0.521  0.624
Te  0.987  0.987  0.963
Te  0.834  0.834  0.606
Cl  0.158  0.158  0.307

~~~~~

1.
15
Lattice="5.508 -5.509 0.000 5.508 5.509 0.000 -5.500 0.000 5.511" Properties=species:S:1:pos:R:3 comment="Tb4U3S8 PBE relaxed" e_form_raw_ev_per_atom=-1.75 spacegroup="C2/m (12)" pbc="T T T"
Tb 0.000 0.000 0.000
Tb 2.754 2.754 0.000
Tb 2.754 -2.754 0.000
Tb 2.758 0.000 2.756
U -2.750 0.000 2.756
U 0.004 2.754 2.756
U 0.004 -2.754 2.756
S 2.758 2.756 2.756
S -2.719 0.000 5.501
S 0.003 0.000 2.782
S 5.508 2.730 0.000
S 5.508 -2.730 0.000
S 5.512 0.000 2.729
S 8.234 0.000 0.011
S 2.758 -2.756 2.756

---

2.
8
Lattice="6.191 0.000 0.000 0.000 3.582 0.000 -2.067 0.000 6.970" Properties=species:S:1:pos:R:3 comment="Ce4NCl2O PBE relaxed" e_form_raw_ev_per_atom=-1.83 spacegroup="P2/m (10)" pbc="T T T"
Ce 1.020 0.000 1.379
Ce -0.019 1.791 5.589
Ce 4.144 1.791 1.381
Ce 3.105 0.000 5.591
N 0.000 1.791 0.000
Cl -1.033 0.000 3.485
Cl 2.062 1.791 3.485
O 3.096 0.000 0.000

---

3.
16
Lattice="2.249 -7.162 0.000 2.249 7.162 0.000 0.000 0.000 15.402" Properties=species:S:1:pos:R:3 comment="K3In2As3 PBE relaxed" spacegroup="Cmcm (63)" e_form_ev_per_atom=-0.41 polymorph_energy_mev_per_atom=31.2 pbc="T T T"
K 2.249 6.348 9.435
K 2.249 6.348 13.668
K 2.249 2.312 11.551
K 2.249 -2.312 3.850
K 2.249 -6.348 1.734
K 2.249 -6.348 5.967
In 2.249 3.686 1.425
In 2.249 3.686 6.276
In 2.249 -3.686 9.126
In 2.249 -3.686 13.976
As 2.249 2.362 3.850
As 2.249 1.960 8.422
As 2.249 1.960 14.681
As 2.249 -1.960 0.721
As 2.249 -1.960 6.980
As 2.249 -2.362 11.551

---

4.
7
Lattice="7.981 0.000 0.000 -3.990 6.912 0.000 0.000 0.000 4.851" Properties=species:S:1:pos:R:3 comment="K3Se4 PBE relaxed" e_form_raw_ev_per_atom=-0.48 spacegroup="P6/mmm (191)" polymorph_energy_mev_per_atom=306.0 pbc="T T T"
K -1.995 3.456 0.000
K 3.990 0.000 0.000
K 1.995 3.456 0.000
Se 0.000 0.000 1.278
Se 0.000 0.000 3.573
Se 0.000 4.608 2.426
Se 3.990 2.304 2.426

---

5.
12
Lattice="9.874 -2.269 0.000 9.874 2.269 0.000 -2.050 0.000 8.828" Properties=species:S:1:pos:R:3 comment="PmPr2Er3Bi6 PBE relaxed" spacegroup="C2/m (12)" e_form_ev_per_atom=-0.88 pbc="T T T"
Pm 0.000 0.000 0.000
Pr 5.220 0.000 5.888
Pr 12.477 0.000 2.940
Er -1.025 0.000 4.414
Er 6.233 0.000 1.468
Er 11.464 0.000 7.359
Bi 2.023 0.000 5.214
+++
(Done)
1